=====
Here is an optimized crystal structure of NbCrTe2Os from Alexandria. Energies are from PBE.

Computed properties:
E_form (uncorrected) in eV/atom: 1.409

Cell lengths 4.853, 4.503, 4.853 Å; angles 90.00, 90.00, 90.00 degrees
Each line ends with the local moment (μB).
Positions (direct):
Nb: 0.000 0.500 0.000  -0.11
Cr: 0.000 0.000 0.000  0.20
Te: 0.500 0.000 0.000  0.00
Os: 0.500 0.500 0.500  -0.07
Te: 0.000 0.000 0.500  0.00


Here is an optimized crystal structure of Nb2CrOsW from Alexandria. Energies are from PBE.

Cell lengths 4.847, 4.776, 4.847 Å; angles 90.00, 90.00, 90.00 degrees
Each line ends with the local moment (μB).
Positions (direct):
Nb: 0.500 0.000 0.000  -0.14
Nb: 0.000 0.000 0.500  -0.10
Os: 0.000 0.000 0.000  0.00
W: 0.000 0.500 0.000  0.23
Cr: 0.500 0.500 0.500  0.08


Here is an optimized crystal structure of NbZnCrOs from Alexandria. Energies are from PBE.

Cell lengths 4.395, 4.395, 4.395 Å; angles 60.00, 60.00, 60.00 degrees
Each line ends with the local moment (μB).
Positions (direct):
Cr: 0.250 0.250 0.250  2.78
Os: 0.750 0.750 0.750  0.19
Zn: 0.000 0.000 0.000  0.00
Nb: 0.500 0.500 0.500  -0.23


Here is an optimized crystal structure of Nb2Cr2P from Alexandria. Energies are from PBE.

Computed properties:
Offset from the most stable computed form in eV per atom: 0.000

Cell lengths 3.165, 3.165, 7.946 Å; angles 78.51, 78.51, 90.00 degrees
Positions (direct):
Nb: 0.404 0.404 0.192
Cr: 0.750 0.250 0.500
Nb: 0.596 0.596 0.808
Cr: 0.250 0.750 0.500
P: 0.000 0.000 0.000


Computed total energy, in the same sequence as the records: -6.033, -8.976, -8.078, -8.852 eV/atom.
=====

Echo all of the contents further above word for word, please.

Here is an optimized crystal structure of NbCrTe2Os from Alexandria. Energies are from PBE.

Computed properties:
E_form (uncorrected) in eV/atom: 1.409

Cell lengths 4.853, 4.503, 4.853 Å; angles 90.00, 90.00, 90.00 degrees
Each line ends with the local moment (μB).
Positions (direct):
Nb: 0.000 0.500 0.000  -0.11
Cr: 0.000 0.000 0.000  0.20
Te: 0.500 0.000 0.000  0.00
Os: 0.500 0.500 0.500  -0.07
Te: 0.000 0.000 0.500  0.00


Here is an optimized crystal structure of Nb2CrOsW from Alexandria. Energies are from PBE.

Cell lengths 4.847, 4.776, 4.847 Å; angles 90.00, 90.00, 90.00 degrees
Each line ends with the local moment (μB).
Positions (direct):
Nb: 0.500 0.000 0.000  -0.14
Nb: 0.000 0.000 0.500  -0.10
Os: 0.000 0.000 0.000  0.00
W: 0.000 0.500 0.000  0.23
Cr: 0.500 0.500 0.500  0.08


Here is an optimized crystal structure of NbZnCrOs from Alexandria. Energies are from PBE.

Cell lengths 4.395, 4.395, 4.395 Å; angles 60.00, 60.00, 60.00 degrees
Each line ends with the local moment (μB).
Positions (direct):
Cr: 0.250 0.250 0.250  2.78
Os: 0.750 0.750 0.750  0.19
Zn: 0.000 0.000 0.000  0.00
Nb: 0.500 0.500 0.500  -0.23


Here is an optimized crystal structure of Nb2Cr2P from Alexandria. Energies are from PBE.

Computed properties:
Offset from the most stable computed form in eV per atom: 0.000

Cell lengths 3.165, 3.165, 7.946 Å; angles 78.51, 78.51, 90.00 degrees
Positions (direct):
Nb: 0.404 0.404 0.192
Cr: 0.750 0.250 0.500
Nb: 0.596 0.596 0.808
Cr: 0.250 0.750 0.500
P: 0.000 0.000 0.000


Computed total energy, in the same sequence as the records: -6.033, -8.976, -8.078, -8.852 eV/atom.